/*
No. 1
# Co2PtCl2O3
Calculated PXRD pattern, Cu Kα (weighted mean of Kα1 and Kα2). Input: a GGA+U-relaxed structure.

Top 10 peaks for 2θ from 10° to 80°, sorted by position:
- 7.059 Å, 2θ 12.54, I = 76, (0 0 1)
- 5.113 Å, 2θ 17.34, I = 75, (0 1 1)
- 4.519 Å, 2θ 19.65, I = 84, (1 0 -1)
- 3.708 Å, 2θ 24.00, I = 95, (0 2 0)
- 3.529 Å, 2θ 25.23, I = 51, (0 0 2)
- 3.396 Å, 2θ 26.24, I = 78, (1 0 1)
- 3.036 Å, 2θ 29.42, I = 86, (1 1 -2)
- 2.867 Å, 2θ 31.20, I = 100, (1 2 -1)
- 2.557 Å, 2θ 35.10, I = 87, (0 2 2)
- 2.412 Å, 2θ 37.27, I = 48, (1 0 -3)

Atomic structure:
```
data_Co2PtCl2O3
_chemical_formula_sum 'Co4 Pt2 Cl4 O6'
_space_group_name_H-M_alt 'P 1 21/m 1'
_space_group_IT_number 11
_cell_length_a 4.804
_cell_length_b 7.417
_cell_length_c 7.411
_cell_angle_alpha 90.00
_cell_angle_beta 107.73
_cell_angle_gamma 90.00
loop_
_space_group_symop_operation_xyz
'x,y,z'
'-x,-y,-z'
'-x,y+1/2,-z'
'x,-y+1/2,z'
loop_
_atom_site_label
_atom_site_type_symbol
_atom_site_fract_x
_atom_site_fract_y
_atom_site_fract_z
Co1 Co 0.000 0.000 0.000
Co2 Co 0.243 0.250 0.779
Pt1 Pt 0.306 0.750 0.772
Cl1 Cl 0.163 0.250 0.449
Cl2 Cl 0.265 0.750 0.215
O1 O 0.232 0.503 0.818
O2 O 0.284 0.250 0.063
```



No. 2
# CoSb2Cl2O3
Calculated PXRD pattern, Cu Kα (weighted mean of Kα1 and Kα2). Input: a GGA+U-relaxed structure.

Top 10 peaks for 2θ from 10° to 80°, sorted by position:
- 7.442 Å, 2θ 11.89, I = 100, (0 1 0)
- 5.151 Å, 2θ 17.22, I = 47, (1 0 0)
- 3.721 Å, 2θ 23.91, I = 35, (0 2 0)
- 3.382 Å, 2θ 26.35, I = 58, (1 0 2)
- 3.217 Å, 2θ 27.73, I = 58, (1 1 2)
- 2.933 Å, 2θ 30.47, I = 64, (1 0 -2)
- 2.802 Å, 2θ 31.93, I = 67, (1 -2 0)
- 2.708 Å, 2θ 33.08, I = 48, (0 2 -2)
- 2.570 Å, 2θ 34.92, I = 42, (2 1 0)
- 2.397 Å, 2θ 37.53, I = 32, (1 3 0)

Atomic structure:
```
data_CoSb2Cl2O3
_chemical_formula_sum 'Co2 Sb4 Cl4 O6'
_space_group_name_H-M_alt 'P -1'
_space_group_IT_number 2
_cell_length_a 5.283
_cell_length_b 7.550
_cell_length_c 7.988
_cell_angle_alpha 88.47
_cell_angle_beta 81.44
_cell_angle_gamma 80.28
loop_
_space_group_symop_operation_xyz
'x,y,z'
'-x,-y,-z'
loop_
_atom_site_label
_atom_site_type_symbol
_atom_site_fract_x
_atom_site_fract_y
_atom_site_fract_z
Co1 Co 0.018 0.484 0.290
Sb1 Sb 0.398 0.711 0.975
Sb2 Sb 0.438 0.721 0.525
Cl1 Cl 0.150 0.210 0.777
Cl2 Cl 0.257 0.136 0.299
O1 O 0.263 0.492 0.471
O2 O 0.269 0.655 0.761
O3 O 0.282 0.483 0.084
```

----------

Entry 1:
The following is a computed PXRD pattern of Sr2TiMnO5. It was derived from a cell relaxed with GGA+U, using Cu Kα X-rays.

Principal peaks in the range 5° ≤ 2θ ≤ 70°, most intense first:
2θ (°)  I_rel
31.66  100
31.82  38
45.29  35
31.38  35
56.59  32
45.49  18
56.04  18
66.14  18
56.31  11
38.83  10

Structure:
```
Sr2TiMnO5
1.0
-7.976 2.851 2.813
7.976 -2.851 2.813
7.976 2.851 -2.813
Sr Ti Mn O
4 2 2 10
Cartesian
1.794 0.072 0.000 Sr
6.182 0.072 0.000 Sr
1.794 2.779 2.813 Sr
6.182 2.779 2.813 Sr
0.000 2.851 0.019 Ti
0.000 0.000 2.832 Ti
3.988 -0.342 2.960 Mn
3.988 3.193 0.148 Mn
1.975 2.615 -0.154 O
6.001 2.615 -0.154 O
-0.145 1.461 1.323 O
8.121 1.461 1.323 O
1.975 0.235 2.659 O
6.001 0.235 2.659 O
-3.988 2.246 2.180 O
0.145 4.241 1.323 O
-0.145 1.390 4.136 O
3.988 3.456 2.180 O
```

Entry 2:
The following is a computed PXRD pattern of Mn2NiO3. It was derived from a cell relaxed with GGA+U, using Cu Kα X-rays.

Principal peaks in the range 5° ≤ 2θ ≤ 70°, most intense first:
2θ (°)  I_rel
40.87  100
35.13  50
58.98  30
59.36  28
35.41  16
11.64  3
49.20  1

Structure:
```
Mn2NiO3
1.0
3.132 0.000 0.000
-1.566 2.712 0.000
0.000 0.000 7.605
Mn Ni O
2 1 3
Cartesian
0.000 1.808 1.320 Mn
1.566 0.904 6.285 Mn
0.000 0.000 3.803 Ni
0.000 0.000 0.000 O
0.000 1.808 4.973 O
1.566 0.904 2.632 O
```

Entry 3:
The following is a computed PXRD pattern of BaY2Mo4O16. It was derived from a cell relaxed with GGA+U, using Cu Kα X-rays.

Principal peaks in the range 5° ≤ 2θ ≤ 70°, most intense first:
2θ (°)  I_rel
29.44  100
25.95  99
27.28  98
28.79  93
25.37  91
27.14  90
30.71  87
33.68  62
*/

Your job: find the line earlier on that holds "0.761", then copy that line and all lines after it there.

O2 O 0.269 0.655 0.761
O3 O 0.282 0.483 0.084
```

----------

Entry 1:
The following is a computed PXRD pattern of Sr2TiMnO5. It was derived from a cell relaxed with GGA+U, using Cu Kα X-rays.

Principal peaks in the range 5° ≤ 2θ ≤ 70°, most intense first:
2θ (°)  I_rel
31.66  100
31.82  38
45.29  35
31.38  35
56.59  32
45.49  18
56.04  18
66.14  18
56.31  11
38.83  10

Structure:
```
Sr2TiMnO5
1.0
-7.976 2.851 2.813
7.976 -2.851 2.813
7.976 2.851 -2.813
Sr Ti Mn O
4 2 2 10
Cartesian
1.794 0.072 0.000 Sr
6.182 0.072 0.000 Sr
1.794 2.779 2.813 Sr
6.182 2.779 2.813 Sr
0.000 2.851 0.019 Ti
0.000 0.000 2.832 Ti
3.988 -0.342 2.960 Mn
3.988 3.193 0.148 Mn
1.975 2.615 -0.154 O
6.001 2.615 -0.154 O
-0.145 1.461 1.323 O
8.121 1.461 1.323 O
1.975 0.235 2.659 O
6.001 0.235 2.659 O
-3.988 2.246 2.180 O
0.145 4.241 1.323 O
-0.145 1.390 4.136 O
3.988 3.456 2.180 O
```

Entry 2:
The following is a computed PXRD pattern of Mn2NiO3. It was derived from a cell relaxed with GGA+U, using Cu Kα X-rays.

Principal peaks in the range 5° ≤ 2θ ≤ 70°, most intense first:
2θ (°)  I_rel
40.87  100
35.13  50
58.98  30
59.36  28
35.41  16
11.64  3
49.20  1

Structure:
```
Mn2NiO3
1.0
3.132 0.000 0.000
-1.566 2.712 0.000
0.000 0.000 7.605
Mn Ni O
2 1 3
Cartesian
0.000 1.808 1.320 Mn
1.566 0.904 6.285 Mn
0.000 0.000 3.803 Ni
0.000 0.000 0.000 O
0.000 1.808 4.973 O
1.566 0.904 2.632 O
```

Entry 3:
The following is a computed PXRD pattern of BaY2Mo4O16. It was derived from a cell relaxed with GGA+U, using Cu Kα X-rays.

Principal peaks in the range 5° ≤ 2θ ≤ 70°, most intense first:
2θ (°)  I_rel
29.44  100
25.95  99
27.28  98
28.79  93
25.37  91
27.14  90
30.71  87
33.68  62